• Contents:
# Pr4Cd5Au6
Calculated powder diffractogram, a wavelength of 1.5418 Å. Input: a GGA-PBE-relaxed structure.
Peak positions follow from Bragg's law for the DFT cell and can differ from measured ones.

Structural model:
```
data_Pr4Cd5Au6
_chemical_formula_sum 'Pr16 Cd20 Au24'
_cell_length_a 4.145
_cell_length_b 23.096
_cell_length_c 15.474
_cell_angle_alpha 90.00
_cell_angle_beta 90.00
_cell_angle_gamma 90.00
_symmetry_space_group_name_H-M 'C m c 21'
_symmetry_Int_Tables_number 36
_symmetry_space_group_name_Hall 'C 2c -2'
loop_
_atom_site_label
_atom_site_fract_x
_atom_site_fract_y
_atom_site_fract_z
Pr1 0.000 0.027 0.000
Pr2 0.000 0.054 0.272
Pr3 0.000 0.134 0.775
Pr4 0.000 0.181 0.438
Cd1 0.000 0.180 0.110
Cd2 0.000 0.311 0.110
Cd3 0.000 0.322 0.764
Cd4 0.000 0.357 0.455
Cd5 0.000 0.466 0.158
Au1 0.000 0.098 0.582
Au2 0.000 0.225 0.934
Au3 0.000 0.266 0.282
Au4 0.000 0.410 0.625
Au5 0.000 0.423 0.926
Au6 0.000 0.460 0.345
```

Top 10 peaks for 15 to 90 degrees two-theta, low angle first:
29.52 deg, rel. 24, hkl 1 5 1
31.21 deg, rel. 29, hkl 1 5 2
31.88 deg, rel. 32, hkl 1 1 4
33.84 deg, rel. 100, hkl 1 5 3
34.78 deg, rel. 29, hkl 0 0 6
35.25 deg, rel. 23, hkl 1 7 1
37.28 deg, rel. 37, hkl 1 5 4
39.01 deg, rel. 37, hkl 1 7 3
39.45 deg, rel. 26, hkl 0 10 1
43.67 deg, rel. 41, hkl 2 0 0

* * * * *

The following is a theoretical XRD peak list of CaPrTm2. It was derived from a structure optimized by DFT (PBE), using Cu Kα, 1.54184 Å.
No peak broadening, texture or thermal motion is included.

Largest 8 diffraction maxima, in order of rising 2θ, 2θ = 10–80°:
d/Å	I_rel
3.133	57
3.042	74
2.852	100
2.674	53
2.384	71
1.797	28
1.780	39
1.548	42

Crystal structure
abc: 3.5596 3.5596 37.5999
angles: 90.00 90.00 120.00
Element x y z (fractional)
Ca (0.0000, 0.0000, 0.0000)
Ca (0.3333, 0.6667, 0.6667)
Ca (0.6667, 0.3333, 0.3333)
Pr (0.0000, 0.0000, 0.5000)
Pr (0.3333, 0.6667, 0.1667)
Pr (0.6667, 0.3333, 0.8333)
Tm (0.0000, 0.0000, 0.0897)
Tm (0.0000, 0.0000, 0.9103)
Tm (0.3333, 0.6667, 0.5769)
Tm (0.3333, 0.6667, 0.7564)
Tm (0.6667, 0.3333, 0.2436)
Tm (0.6667, 0.3333, 0.4231)



The following is a theoretical XRD peak list of Pu4TcGe2. It was derived from a structure optimized by DFT (PBE), using Cu Kα, 1.54184 Å.
No peak broadening, texture or thermal motion is included.

Largest 8 diffraction maxima, in order of rising 2θ, 2θ = 10–80°:
d/Å	I_rel
4.320	20
3.283	23
2.557	100
2.374	68
2.017	29
1.740	27
1.476	19
1.438	29

Crystal structure
abc: 7.1941 7.1941 7.1941
angles: 41.64 41.64 41.64
Element x y z (fractional)
Pu (0.0742, 0.0742, 0.0742)
Pu (0.2263, 0.2263, 0.2263)
Pu (0.7737, 0.7737, 0.7737)
Pu (0.9258, 0.9258, 0.9258)
Tc (0.5000, 0.5000, 0.5000)
Ge (0.3725, 0.3725, 0.3725)
Ge (0.6275, 0.6275, 0.6275)



The following is a theoretical XRD peak list of Tc8H. It was derived from a structure optimized by DFT (PBE), using Cu Kα, 1.54184 Å.
No peak broadening, texture or thermal motion is included.

Largest 8 diffraction maxima, in order of rising 2θ, 2θ = 10–80°:
d/Å	I_rel
4.451	1
2.402	24
2.226	26
2.114	100
1.633	15
1.387	17
1.262	17
1.201	3

Crystal structure
abc: 5.5478 5.5478 4.4515
angles: 90.00 90.00 120.00
Element x y z (fractional)
Tc (0.1697, 0.3394, 0.2374)
Tc (0.1697, 0.8303, 0.2374)
Tc (0.3333, 0.6667, 0.7568)
Tc (0.3394, 0.1697, 0.7626)
Tc (0.6606, 0.8303, 0.2374)
Tc (0.6667, 0.3333, 0.2432)
Tc (0.8303, 0.1697, 0.7626)
Tc (0.8303, 0.6606, 0.7626)
H (0.0000, 0.0000, 0.5000)



The following is a theoretical XRD peak list of LaSm6Ho3. It was derived from a structure optimized by DFT (PBE), using Cu Kα, 1.54184 Å.
No peak broadening, texture or thermal motion is included.

Largest 8 diffraction maxima, in order of rising 2θ, 2θ = 10–80°:
d/Å	I_rel
3.105	65
2.866	100
2.819	17
2.198	16
2.106	22
1.697	22
1.655	20
1.634	12

Crystal structure
abc: 6.9779 6.9779 6.9779
angles: 90.71 90.71 90.71
Element x y z (fractional)
La (0.0000, 0.0000, 0.0000)
Sm (0.1726, 0.8269, 0.4993)
Sm (0.3306, 0.6690, 0.9993)
Sm (0.4993, 0.1726, 0.8269)

• What to do:
What is needed: start at the top of the entries further up and repeat each line, ending with the one that has "(0.3306, 0.6690,".

• Here it is:
# Pr4Cd5Au6
Calculated powder diffractogram, a wavelength of 1.5418 Å. Input: a GGA-PBE-relaxed structure.
Peak positions follow from Bragg's law for the DFT cell and can differ from measured ones.

Structural model:
```
data_Pr4Cd5Au6
_chemical_formula_sum 'Pr16 Cd20 Au24'
_cell_length_a 4.145
_cell_length_b 23.096
_cell_length_c 15.474
_cell_angle_alpha 90.00
_cell_angle_beta 90.00
_cell_angle_gamma 90.00
_symmetry_space_group_name_H-M 'C m c 21'
_symmetry_Int_Tables_number 36
_symmetry_space_group_name_Hall 'C 2c -2'
loop_
_atom_site_label
_atom_site_fract_x
_atom_site_fract_y
_atom_site_fract_z
Pr1 0.000 0.027 0.000
Pr2 0.000 0.054 0.272
Pr3 0.000 0.134 0.775
Pr4 0.000 0.181 0.438
Cd1 0.000 0.180 0.110
Cd2 0.000 0.311 0.110
Cd3 0.000 0.322 0.764
Cd4 0.000 0.357 0.455
Cd5 0.000 0.466 0.158
Au1 0.000 0.098 0.582
Au2 0.000 0.225 0.934
Au3 0.000 0.266 0.282
Au4 0.000 0.410 0.625
Au5 0.000 0.423 0.926
Au6 0.000 0.460 0.345
```

Top 10 peaks for 15 to 90 degrees two-theta, low angle first:
29.52 deg, rel. 24, hkl 1 5 1
31.21 deg, rel. 29, hkl 1 5 2
31.88 deg, rel. 32, hkl 1 1 4
33.84 deg, rel. 100, hkl 1 5 3
34.78 deg, rel. 29, hkl 0 0 6
35.25 deg, rel. 23, hkl 1 7 1
37.28 deg, rel. 37, hkl 1 5 4
39.01 deg, rel. 37, hkl 1 7 3
39.45 deg, rel. 26, hkl 0 10 1
43.67 deg, rel. 41, hkl 2 0 0

* * * * *

The following is a theoretical XRD peak list of CaPrTm2. It was derived from a structure optimized by DFT (PBE), using Cu Kα, 1.54184 Å.
No peak broadening, texture or thermal motion is included.

Largest 8 diffraction maxima, in order of rising 2θ, 2θ = 10–80°:
d/Å	I_rel
3.133	57
3.042	74
2.852	100
2.674	53
2.384	71
1.797	28
1.780	39
1.548	42

Crystal structure
abc: 3.5596 3.5596 37.5999
angles: 90.00 90.00 120.00
Element x y z (fractional)
Ca (0.0000, 0.0000, 0.0000)
Ca (0.3333, 0.6667, 0.6667)
Ca (0.6667, 0.3333, 0.3333)
Pr (0.0000, 0.0000, 0.5000)
Pr (0.3333, 0.6667, 0.1667)
Pr (0.6667, 0.3333, 0.8333)
Tm (0.0000, 0.0000, 0.0897)
Tm (0.0000, 0.0000, 0.9103)
Tm (0.3333, 0.6667, 0.5769)
Tm (0.3333, 0.6667, 0.7564)
Tm (0.6667, 0.3333, 0.2436)
Tm (0.6667, 0.3333, 0.4231)



The following is a theoretical XRD peak list of Pu4TcGe2. It was derived from a structure optimized by DFT (PBE), using Cu Kα, 1.54184 Å.
No peak broadening, texture or thermal motion is included.

Largest 8 diffraction maxima, in order of rising 2θ, 2θ = 10–80°:
d/Å	I_rel
4.320	20
3.283	23
2.557	100
2.374	68
2.017	29
1.740	27
1.476	19
1.438	29

Crystal structure
abc: 7.1941 7.1941 7.1941
angles: 41.64 41.64 41.64
Element x y z (fractional)
Pu (0.0742, 0.0742, 0.0742)
Pu (0.2263, 0.2263, 0.2263)
Pu (0.7737, 0.7737, 0.7737)
Pu (0.9258, 0.9258, 0.9258)
Tc (0.5000, 0.5000, 0.5000)
Ge (0.3725, 0.3725, 0.3725)
Ge (0.6275, 0.6275, 0.6275)



The following is a theoretical XRD peak list of Tc8H. It was derived from a structure optimized by DFT (PBE), using Cu Kα, 1.54184 Å.
No peak broadening, texture or thermal motion is included.

Largest 8 diffraction maxima, in order of rising 2θ, 2θ = 10–80°:
d/Å	I_rel
4.451	1
2.402	24
2.226	26
2.114	100
1.633	15
1.387	17
1.262	17
1.201	3

Crystal structure
abc: 5.5478 5.5478 4.4515
angles: 90.00 90.00 120.00
Element x y z (fractional)
Tc (0.1697, 0.3394, 0.2374)
Tc (0.1697, 0.8303, 0.2374)
Tc (0.3333, 0.6667, 0.7568)
Tc (0.3394, 0.1697, 0.7626)
Tc (0.6606, 0.8303, 0.2374)
Tc (0.6667, 0.3333, 0.2432)
Tc (0.8303, 0.1697, 0.7626)
Tc (0.8303, 0.6606, 0.7626)
H (0.0000, 0.0000, 0.5000)



The following is a theoretical XRD peak list of LaSm6Ho3. It was derived from a structure optimized by DFT (PBE), using Cu Kα, 1.54184 Å.
No peak broadening, texture or thermal motion is included.

Largest 8 diffraction maxima, in order of rising 2θ, 2θ = 10–80°:
d/Å	I_rel
3.105	65
2.866	100
2.819	17
2.198	16
2.106	22
1.697	22
1.655	20
1.634	12

Crystal structure
abc: 6.9779 6.9779 6.9779
angles: 90.71 90.71 90.71
Element x y z (fractional)
La (0.0000, 0.0000, 0.0000)
Sm (0.1726, 0.8269, 0.4993)
Sm (0.3306, 0.6690, 0.9993)